I have very little time right now, but I have to pop in and tell you how much I liked this:

Yet somehow, explaining Kryptonian customs and Law and how they related to each Dispute had brought clarity – possibly for her, but certainly for him.
Indeed! Imagine, Kal has been settling Disputes for years, and he knows the Law by heart, I'm sure - and yet, it is only when he has tried to explain the Law to Lois that he has begun to really understand it himself. How true this is. When you try to explain to others what you think you know yourself, you will understand so much more about the thing you thought you knew, and you will understand more about yourself. You will understand more about the person you have been up until now, when you have been taking certain things for granted, and you may very well find yourself wondering if maybe you shouldn't just be taking so many things for granted.

I loved how Kal tossed out the decision he had made about the younger brother that he had ordered to leave his wife. He disliked his own previous judgement for two reasons, of course. Lois had not agreed with his decision, and he had been forced to think about it. "It is the Law" is an argument, of course, and yes, we should normally follow the law. But what if the law is bad? We should try to change it.

The other reason why Kal felt bad about the decision he had made regarding the younger brother is that he suddenly understood what Lois had meant when she said that she felt sorry for the younger brother because he had to leave his wife. After the intimate Dispute-settling session with Lois on his bed, and when Lois suddenly realised where she was and felt obliged to leave Kal's quarters, Kal suddenly felt about as lonely as the younger brother in the Dispute might feel, if Kal forced him to leave his wife. Suddenly Kal understood that.

Oh, and... Kal is definitely a virgin. Fascinating. How do they make babies on Krypton? There is a thing called the birthing matrix, I think. Maybe the parents contribute only the egg and the seed, but no touching is involved? And no looking.

Kal had never seen a naked woman. Five years ago, a young man had been caught drawing pictures of unclothed women. The young man had been put in prison. The pictures had been burned.

But not before Kal had seen them.

Crystal structures that have nothing to do with the piece >
........
[1]
# Ca2CdN2

A relaxed Ca2CdN2 crystal (PBEsol, Alexandria).

Cell: 7.139 7.139 7.139 Å, 151.21 151.21 41.17°
Positions (direct):
1 Ca 0.169 0.169 0.000
2 Ca 0.831 0.831 0.000
3 Cd 0.500 0.500 0.000
4 N 0.346 0.346 0.000
5 N 0.654 0.654 0.000

Properties
The total DFT energy (no corrections) is -25.694 eV for the cell shown. The value obtained for the uncorrected formation energy is -0.64 eV/atom.

---

[2]
# Ca3CdN

A relaxed Ca3CdN crystal (PBEsol, Alexandria).

Cell: 4.880 4.880 4.880 Å, 90.00 90.00 90.00°
Positions (direct):
1 Ca 0.000 0.000 0.500
2 Ca 0.000 0.500 0.000
3 Ca 0.500 0.000 0.000
4 Cd 0.500 0.500 0.500
5 N 0.000 0.000 0.000

Properties
The total DFT energy (no corrections) is -19.320 eV for the cell shown. The value obtained for the uncorrected formation energy is -0.64 eV/atom.

---

[3]
# CaCdN2O

A relaxed CaCdN2O crystal (PBEsol, Alexandria).

Cell: 4.156 4.156 4.250 Å, 90.00 90.00 90.00°
Positions (direct):
1 Ca 0.000 0.000 0.000
2 Cd 0.500 0.500 0.500
3 N 0.000 0.500 0.500
4 N 0.500 0.000 0.500
5 O 0.500 0.500 0.000

Properties
The total DFT energy (no corrections) is -22.985 eV for the cell shown. The value obtained for the uncorrected formation energy is 0.53 eV/atom.

---

[4]
# NaCa2Cd2

A relaxed NaCa2Cd2 crystal (PBEsol, Alexandria).

Cell: 8.234 8.234 4.354 Å, 90.00 90.00 90.00°
Positions (direct):
1 Na 0.000 0.000 0.000
2 Na 0.500 0.500 0.000
3 Ca 0.166 0.334 0.500
4 Ca 0.334 0.834 0.500
5 Ca 0.666 0.166 0.500
6 Ca 0.834 0.666 0.500
7 Cd 0.128 0.628 0.000
8 Cd 0.372 0.128 0.000
9 Cd 0.628 0.872 0.000
10 Cd 0.872 0.372 0.000

Properties
The calculation puts the excess energy over the best structure of this formula in the dataset at 0.0 kJ per mole of atoms. The value obtained for the energy of formation from the pure elements is -1.1 eV per formula unit. The total DFT energy (no corrections) is -18.249 eV for the cell shown.

---

[5]
# NaCa2Cd2

A relaxed NaCa2Cd2 crystal (PBEsol, Alexandria).

Cell: 9.644 9.644 9.644 Å, 154.91 154.91 35.78°
Positions (direct):
1 Na 0.000 0.000 0.000
2 Ca 0.386 0.386 0.000
3 Ca 0.614 0.614 0.000
4 Cd 0.250 0.750 0.500
5 Cd 0.750 0.250 0.500

Properties
The calculation puts the excess energy over the best structure of this formula in the dataset at 19.8 kJ per mole of atoms. The value obtained for the energy of formation from the pure elements is 0.0 eV per formula unit. The total DFT energy (no corrections) is -8.100 eV for the cell shown.

---

[6]
# NaCaTiCd2

A relaxed NaCaTiCd2 crystal (PBEsol, Alexandria).

Cell: 5.336 5.336 5.420 Å, 90.00 90.00 90.00°
Positions (direct):
1 Na 0.000 0.000 0.000
2 Ca 0.500 0.500 0.000
3 Ti 0.500 0.500 0.500
4 Cd 0.000 0.500 0.500
5 Cd 0.500 0.000 0.500

Properties
The value obtained for the energy of formation from the pure elements is 2.9 eV per formula unit. The total DFT energy (no corrections) is -11.347 eV for the cell shown.

---

[7]
# CaNbCd3

A relaxed CaNbCd3 crystal (PBEsol, Alexandria).
........
Here the piece continues >

It was only because of them that he knew how women were different to men.

And Kal wants Lois to come to him of her own accord... yes, that means you want her to love you, Kal. Because you love her. Now you know what love is, or at least, you know one aspect of love.

What an engrossing fic this is, Corinna!
